Wanted:
The reader should search the rows below for the word "Bi5" and type out each line that has it.

Contents:
=====
Entry 1:
A plane-wave DFT calculation with GGA-PBE was carried out for a relaxed structure of Bi5P6O24.

Calculated values
theoretical density = 4.82 g cm⁻³
formation enthalpy at 0 K = -76.6 eV/f.u.
SG = No. 1

Lattice parameters (Å, degrees): 8.936 8.943 8.964 108.74 110.18 108.80
Atoms (fractional coordinates):
Bi1 0.000 0.000 0.000
Bi2 0.021 0.027 0.504
Bi3 0.352 0.809 0.176
Bi4 0.553 0.179 0.846
Bi5 0.689 0.507 0.350
P1 0.147 0.766 0.726
P2 0.273 0.361 0.970
P3 0.395 0.253 0.466
P4 0.658 0.898 0.599
P5 0.764 0.126 0.228
P6 0.901 0.637 0.105
O1 0.095 0.663 0.166
O2 0.127 0.244 0.767
O3 0.176 0.832 0.923
O4 0.185 0.934 0.695
O5 0.196 0.307 0.085
O6 0.252 0.084 0.277
O7 0.278 0.695 0.701
O8 0.334 0.562 0.017
O9 0.371 0.421 0.498
O10 0.378 0.188 0.604
O11 0.451 0.343 0.012
O12 0.469 0.762 0.426
O13 0.587 0.942 0.105
O14 0.590 0.327 0.491
O15 0.685 0.091 0.670
O16 0.690 0.848 0.754
O17 0.714 0.274 0.203
O18 0.763 0.445 0.943
O19 0.801 0.874 0.539
O20 0.849 0.165 0.426
O21 0.869 0.669 0.272
O22 0.875 0.778 0.051
O23 0.907 0.137 0.166
O24 0.951 0.606 0.593

=====

Entry 2:
A plane-wave DFT calculation with GGA-PBE was carried out for a relaxed structure of BiP3O9.

Calculated values
theoretical density = 4.16 g cm⁻³
formation enthalpy at 0 K = -32.3 eV/f.u.
SG = No. 14

Lattice parameters (Å, degrees): 7.278 7.043 13.897 90.00 93.10 90.00
Atoms (fractional coordinates):
Bi1 0.241 0.137 0.069
Bi2 0.241 0.363 0.569
Bi3 0.759 0.637 0.431
Bi4 0.759 0.863 0.931
P1 0.237 0.685 0.365
P2 0.237 0.815 0.865
P3 0.294 0.101 0.326
P4 0.294 0.399 0.826
P5 0.294 0.608 0.158
P6 0.294 0.892 0.658
P7 0.706 0.108 0.342
P8 0.706 0.392 0.842
P9 0.706 0.601 0.174
P10 0.706 0.899 0.674
P11 0.763 0.185 0.135
P12 0.763 0.315 0.635
O1 0.088 0.609 0.427
O2 0.088 0.891 0.927
O3 0.193 0.596 0.845
O4 0.193 0.904 0.345
O5 0.201 0.589 0.261
O6 0.201 0.911 0.761
O7 0.206 0.037 0.590
O8 0.206 0.463 0.090
O9 0.217 0.175 0.231
O10 0.217 0.325 0.731
O11 0.280 0.229 0.411
O12 0.280 0.271 0.911
O13 0.295 0.688 0.628
O14 0.295 0.812 0.128
O15 0.431 0.656 0.404
O16 0.431 0.844 0.904
O17 0.499 0.532 0.187
O18 0.499 0.968 0.687
O19 0.501 0.032 0.313
O20 0.501 0.468 0.813
O21 0.569 0.156 0.096
O22 0.569 0.344 0.596
O23 0.705 0.188 0.872
O24 0.705 0.312 0.372
O25 0.720 0.729 0.089
O26 0.720 0.771 0.589
O27 0.783 0.675 0.269
O28 0.783 0.825 0.769
O29 0.794 0.537 0.910
O30 0.794 0.963 0.410
O31 0.799 0.089 0.239
O32 0.799 0.411 0.739
O33 0.807 0.096 0.655
O34 0.807 0.404 0.155
O35 0.912 0.109 0.073
O36 0.912 0.391 0.573

=====

Entry 3:
A plane-wave DFT calculation with GGA-PBE was carried out for a relaxed structure of BiPO5.

Calculated values
theoretical density = 5.19 g cm⁻³
formation enthalpy at 0 K = -13.3 eV/f.u.
SG = No. 43

Lattice parameters (Å, degrees): 9.360 7.407 10.711 58.89 42.65 78.46
Atoms (fractional coordinates):
Bi1 0.256 0.744 0.498
Bi2 0.744 0.256 0.502
Bi3 0.748 0.752 0.506
Bi4 0.752 0.748 0.994
P1 0.161 0.588 0.913
P2 0.337 0.912 0.089
P3 0.588 0.161 0.338
P4 0.912 0.337 0.662
O1 0.030 0.761 0.936
O2 0.032 0.377 0.145
O3 0.105 0.804 0.218
O4 0.125 0.457 0.555
O5 0.191 0.517 0.782
O6 0.314 0.977 0.220
O7 0.377 0.032 0.446
O8 0.388 0.695 0.793
O9 0.457 0.125 0.862
O10 0.468 0.740 0.059
O11 0.517 0.191 0.510
O12 0.562 0.689 0.300
O13 0.689 0.562 0.448
O14 0.695 0.388 0.125
O15 0.740 0.468 0.733
O16 0.761 0.030 0.273
O17 0.802 0.950 0.561
=====

Here it is:
Bi5 0.689 0.507 0.350